(Material)
- - -
## LiHf2TlH (PBE)

Data for an optimized crystal structure of LiHf2TlH.

Output
- total energy (eV/cell) = -27.98

a b c (Å): 4.316 4.316 4.420
angles (deg): 90.00 90.00 90.00
Positions (direct):
Hf 0.500 0.000 0.000
Hf 0.000 0.500 0.000
H 0.000 0.000 0.000
Li 0.000 0.000 0.500
Tl 0.500 0.500 0.500


Pm4Ge2I3 | GGA-PBE | relaxed

```
Pm4Ge2I3
1.0
-4.1266 1.0195 0.8683
2.5090 -1.7129 3.0972
5.3720 17.3750 5.2295
Pm Ge I
4 2 3
Cartesian
5.0184 14.4815 6.9526
-2.5791 5.9993 2.3702
6.3336 10.6824 6.8248
-1.2640 2.2002 2.2424
2.3799 14.0185 5.7953
1.3746 2.6632 3.3997
0.2116 6.9543 3.6756
0.0000 0.0000 0.0000
3.5428 9.7274 5.5194
```

DFT total energy = -43.2 eV/f.u.
crystal system = monoclinic
excess energy over the best structure of this formula in the dataset = 0.00 eV/f.u.
formation energy without anion corrections = -1.144 eV/atom
total moment = 0.00 Bohr magnetons per cell
space group = No. 12

NpZnGaRh | GGA-PBE | relaxed

```
NpZnGaRh
1.0
4.6673 0.0000 0.0000
2.3336 4.0420 0.0000
2.3336 1.3473 3.8108
Np Zn Rh Ga
1 1 1 1
Cartesian
7.0009 4.0420 2.8581
0.0000 0.0000 0.0000
4.6673 2.6947 1.9054
2.3336 1.3473 0.9527
```

DFT total energy = -25.1 eV/f.u.
crystal system = cubic
ΔH_f (0 K) = -0.46 eV per formula unit
total moment = 3.67 Bohr magnetons per cell
space group = No. 216

Ge2SbRu2 | GGA-PBE | relaxed

```
Ge2SbRu2
1.0
3.7330 0.0000 0.0000
0.0000 3.7330 0.0000
1.8665 1.8665 6.1958
Sb Ge Ru
1 2 2
Cartesian
0.0000 0.0000 0.0000
3.7330 1.8665 3.0979
1.8665 3.7330 3.0979
1.8665 1.8665 1.4263
3.7330 3.7330 4.7695
```

DFT total energy = -32.1 eV/f.u.
crystal system = tetragonal
formation energy without anion corrections = -0.034 eV/atom
total moment = 0.00 Bohr magnetons per cell
space group = No. 139

KLi2PaS4 | GGA-PBE | relaxed

```
KLi2PaS4
1.0
6.9169 0.0000 0.0000
3.4585 5.3589 0.2342
3.4585 0.6726 5.3217
K Li Pa S
1 2 1 4
Cartesian
0.0000 0.0000 0.0000
3.4585 1.5079 1.3890
10.3754 4.5236 4.1669
6.9169 3.0158 2.7780
5.4409 0.9532 2.8847
5.4409 5.0783 2.6712
8.3929 2.9531 0.7136
8.3929 3.0784 4.8423
```

DFT total energy = -41.3 eV/f.u.
crystal system = tetragonal
formation energy without anion corrections = -1.297 eV/atom
total moment = 0.00 Bohr magnetons per cell
space group = No. 121

Tm2ScSn2Rh5 | GGA-PBE | relaxed

```
Tm2ScSn2Rh5
1.0
3.7302 0.0000 0.0000
0.0000 10.0949 0.0000
0.0000 0.0000 10.0949
Tm Sc Sn Rh
4 2 4 10
Cartesian
0.0000 6.7517 1.7043
0.0000 3.3432 8.3906
0.0000 1.7043 3.3432
0.0000 8.3906 6.7517
0.0000 0.0000 0.0000
0.0000 5.0474 5.0474
0.0000 1.3138 6.3612
0.0000 8.7811 3.7337
0.0000 6.3612 8.7811
0.0000 3.7337 1.3138
1.8651 2.0231 0.6162
1.8651 8.0718 9.4787
1.8651 0.6162 8.0718
1.8651 7.0705 4.4313
1.8651 9.4787 2.0231
1.8651 3.0244 5.6636
1.8651 5.6636 7.0705
1.8651 4.4313 3.0244
1.8651 5.0474 0.0000
1.8651 0.0000 5.0474
```

DFT total energy = -66.7 eV/f.u.
crystal system = tetragonal
ΔH_f (0 K) = -6.64 eV per formula unit
total moment = 0.00 Bohr magnetons per cell
space group = No. 127

YCrTe | GGA-PBE | relaxed

```
YCrTe
1.0
-0.8067 2.1789 -5.2949
2.0656 -2.2635 -4.9035
- - -

(To do)
The reader should write out the contents further up unchanged.

(Result)
## LiHf2TlH (PBE)

Data for an optimized crystal structure of LiHf2TlH.

Output
- total energy (eV/cell) = -27.98

a b c (Å): 4.316 4.316 4.420
angles (deg): 90.00 90.00 90.00
Positions (direct):
Hf 0.500 0.000 0.000
Hf 0.000 0.500 0.000
H 0.000 0.000 0.000
Li 0.000 0.000 0.500
Tl 0.500 0.500 0.500


Pm4Ge2I3 | GGA-PBE | relaxed

```
Pm4Ge2I3
1.0
-4.1266 1.0195 0.8683
2.5090 -1.7129 3.0972
5.3720 17.3750 5.2295
Pm Ge I
4 2 3
Cartesian
5.0184 14.4815 6.9526
-2.5791 5.9993 2.3702
6.3336 10.6824 6.8248
-1.2640 2.2002 2.2424
2.3799 14.0185 5.7953
1.3746 2.6632 3.3997
0.2116 6.9543 3.6756
0.0000 0.0000 0.0000
3.5428 9.7274 5.5194
```

DFT total energy = -43.2 eV/f.u.
crystal system = monoclinic
excess energy over the best structure of this formula in the dataset = 0.00 eV/f.u.
formation energy without anion corrections = -1.144 eV/atom
total moment = 0.00 Bohr magnetons per cell
space group = No. 12

NpZnGaRh | GGA-PBE | relaxed

```
NpZnGaRh
1.0
4.6673 0.0000 0.0000
2.3336 4.0420 0.0000
2.3336 1.3473 3.8108
Np Zn Rh Ga
1 1 1 1
Cartesian
7.0009 4.0420 2.8581
0.0000 0.0000 0.0000
4.6673 2.6947 1.9054
2.3336 1.3473 0.9527
```

DFT total energy = -25.1 eV/f.u.
crystal system = cubic
ΔH_f (0 K) = -0.46 eV per formula unit
total moment = 3.67 Bohr magnetons per cell
space group = No. 216

Ge2SbRu2 | GGA-PBE | relaxed

```
Ge2SbRu2
1.0
3.7330 0.0000 0.0000
0.0000 3.7330 0.0000
1.8665 1.8665 6.1958
Sb Ge Ru
1 2 2
Cartesian
0.0000 0.0000 0.0000
3.7330 1.8665 3.0979
1.8665 3.7330 3.0979
1.8665 1.8665 1.4263
3.7330 3.7330 4.7695
```

DFT total energy = -32.1 eV/f.u.
crystal system = tetragonal
formation energy without anion corrections = -0.034 eV/atom
total moment = 0.00 Bohr magnetons per cell
space group = No. 139

KLi2PaS4 | GGA-PBE | relaxed

```
KLi2PaS4
1.0
6.9169 0.0000 0.0000
3.4585 5.3589 0.2342
3.4585 0.6726 5.3217
K Li Pa S
1 2 1 4
Cartesian
0.0000 0.0000 0.0000
3.4585 1.5079 1.3890
10.3754 4.5236 4.1669
6.9169 3.0158 2.7780
5.4409 0.9532 2.8847
5.4409 5.0783 2.6712
8.3929 2.9531 0.7136
8.3929 3.0784 4.8423
```

DFT total energy = -41.3 eV/f.u.
crystal system = tetragonal
formation energy without anion corrections = -1.297 eV/atom
total moment = 0.00 Bohr magnetons per cell
space group = No. 121

Tm2ScSn2Rh5 | GGA-PBE | relaxed

```
Tm2ScSn2Rh5
1.0
3.7302 0.0000 0.0000
0.0000 10.0949 0.0000
0.0000 0.0000 10.0949
Tm Sc Sn Rh
4 2 4 10
Cartesian
0.0000 6.7517 1.7043
0.0000 3.3432 8.3906
0.0000 1.7043 3.3432
0.0000 8.3906 6.7517
0.0000 0.0000 0.0000
0.0000 5.0474 5.0474
0.0000 1.3138 6.3612
0.0000 8.7811 3.7337
0.0000 6.3612 8.7811
0.0000 3.7337 1.3138
1.8651 2.0231 0.6162
1.8651 8.0718 9.4787
1.8651 0.6162 8.0718
1.8651 7.0705 4.4313
1.8651 9.4787 2.0231
1.8651 3.0244 5.6636
1.8651 5.6636 7.0705
1.8651 4.4313 3.0244
1.8651 5.0474 0.0000
1.8651 0.0000 5.0474
```

DFT total energy = -66.7 eV/f.u.
crystal system = tetragonal
ΔH_f (0 K) = -6.64 eV per formula unit
total moment = 0.00 Bohr magnetons per cell
space group = No. 127

YCrTe | GGA-PBE | relaxed

```
YCrTe
1.0
-0.8067 2.1789 -5.2949
2.0656 -2.2635 -4.9035